View Full Version : Things you say to telemarketers?

9th December 2010, 21:24
I don't if you guys have telemarketers ?? We unfortunately do have them and they usually sell magazines or news papers via phone. This incident happened to me few weeks ago but I might as well share it with you.

This lady called me and offered me a newspaper. I said no thank you because I can't read. The lady started laughing so I thanked her again and said that this wasn't awkward enough :mark: This was the first time a telemarketer hanged up the call :D

9th December 2010, 22:10
I've told someone who was trying to flog me their religion on the doorstep that I was a non practising atheist. That earned me a wry chuckle and the chap left. :D

I am still waiting to use the line;

'I am really interested in your product/service but I can't talk now. Give me your home number and I'll give you a call between 8 and 9pm. What's that you say? You don't want to be bothered at home. Fancy that!'

Dr. Krogshöj
9th December 2010, 22:57
We have them and they usually offer courses in language schools or cheap holidays. I always reject them in a polite manner. Remember, they probably don't do that job because it's their career goal. At least in this country they usually call during business hours.

9th December 2010, 23:13
"I don't know how to read." - A.F.F.

Dude, that really made me laugh.

We have them and they usually offer courses in language schools or cheap holidays. I always reject them in a polite manner. Remember, they probably don't do that job because it's their career goal. At least in this country they usually call during business hours. :up: Precisely. I've worked in customer service before and it's a nightmare. I know where they are coming from, so I'm not going to scream into the phone like a moron because they need to make a living.

9th December 2010, 23:54
I occasionally get calls to my home phone asking me to invest in the US stock market which is about to really take off any day.

I don't really get it because ever since I got a mobile 9 years ago I don't give out my home number :s

That and I don't have any money at all to invest...

10th December 2010, 00:08
I know where they are coming from, so I'm not going to scream into the phone like a moron because they need to make a living.


10th December 2010, 01:20
Most of the time I politely refuse twice and then just hang up if they're persistent. No point in wasting my time or theirs. I do like sonic's line though, might try and remember that!

10th December 2010, 09:11
As for the "they're just trying to make a living" well if nobody took these jobs then there would be nobody to hassle us all! So it's their own fault.

10th December 2010, 10:17
I normally tell them to #%&@ off and stop wasting my time. In those exact words.

10th December 2010, 10:23
You tell them to hash percent ampersand at off?

10th December 2010, 10:27
Yup :p :

11th December 2010, 21:20
You tell them to hash percent ampersand at off?
I just tell them to 4 asterisks off. It's simpler.

11th December 2010, 22:03
"Thank you I am not interested" or "I am underage" usually work.

11th December 2010, 22:46
As for the "they're just trying to make a living" well if nobody took these jobs then there would be nobody to hassle us all! So it's their own fault.You're an asshole.

Brown, Jon Brow
11th December 2010, 23:21
As for the "they're just trying to make a living" well if nobody took these jobs then there would be nobody to hassle us all! So it's their own fault.


If consumers didn't buy from telemarketers then firms wouldn't use them. So that means it is the consumers fault that they annoy us all.. Not the people trying to earn a living.

12th December 2010, 00:35
As for the "they're just trying to make a living" well if nobody took these jobs then there would be nobody to hassle us all! So it's their own fault.

No you are not an asshole....

That WAS my exact view until they diversified my job as an Engineer/technician... they had me making marketing calls within the year as part of my onwards and upwards 'career path'... obviously reluctant to refuse their natural career progression??? due to the danger of being labelled as lacking in 'drive' which would obviously affect my employment security.... ******* hated it knowing how much it annoyed me when called at home... but it made me a lot more understanding of their situation when telemarketers called me at home.

12th December 2010, 02:12
No you are not an asshole....

That WAS my exact view until they diversified my job as an Engineer/technician... they had me making marketing calls within the year as part of my onwards and upwards 'career path'... obviously reluctant to refuse their natural career progression??? due to the danger of being labelled as lacking in 'drive' which would obviously affect my employment security.... ******* hated it knowing how much it annoyed me when called at home... but it made me a lot more understanding of their situation when telemarketers called me at home.So, you were an asshole until you got placed in that situation and realized that it wasn't the best option, but had to do it in order to have a job.

How about just saying, "No thanks. Bye."

12th December 2010, 04:16
If they are persistently a pain and call repeatedly they are fair game to whatever I see as fitting. Before they cross the persistent line I don't answer.

One of my favorites is speaking like an old lady from a Monty Python skit. Simply Helllooo? they try to speak Helllooo? until they hang up. Some are quite slow and have stay connected for more than a dozen.

12th December 2010, 11:59
I often say "I have a pain in my leg", and wait for a response.

It's wonderful, because they don't know whether to express sympathy and therefore get distracted from the sell, or ignore my trouble and appear unkind.

I like to keep them talking till they hang up, because I want to be on the black list of people who it's not worth calling because we only waste their precious call time. Come to think of it, I haven't had a call for quite a while... :)

And the argument that they're just people doing a job is certainly a reason for not being rude to them, but it's not a justification for the irritation that they generate by their existence. That's why I try to make the calls unsuccessful for their employers.

12th December 2010, 12:37
you may need to check if you have anysort of Do Not Call Register


The Do Not Call Register

The Do Not Call Register is a secure database where you can list your numbers to avoid receiving unsolicited telemarketing calls and marketing faxes.
The Australian Communications and Media Authority (the ACMA) is responsible for the register under the Do Not Call Register Act 2006. The Act covers telemarketing calls and marketing faxes from within Australia and overseas.
A number is eligible to be registered if it is:

used or maintained primarily for private or domestic purposes, or[/*:m:fqbsvq1g]
used or maintained exclusively for transmitting and/or receiving faxes, or[/*:m:fqbsvq1g]
used or maintained exclusively for use by a government body, or[/*:m:fqbsvq1g]
an emergency service number.[/*:m:fqbsvq1g]

12th December 2010, 23:09
So, you were an asshole until you got placed in that situation and realized that it wasn't the best option, but had to do it in order to have a job.

How about just saying, "No thanks. Bye."

## Next to the piece, the page also holds calculated crystals
-- begin --
# LiScRe, optimized geometry, DFT PBE-GGA
data_LiScRe
_chemical_formula_sum 'Li1 Sc1 Re1'
_symmetry_space_group_name_H-M 'P 3 m 1'
_symmetry_Int_Tables_number 156
_cell_length_a 4.7050
_cell_length_b 4.7050
_cell_length_c 2.5423
_cell_angle_alpha 90.00
_cell_angle_beta 90.00
_cell_angle_gamma 120.00
loop_
_symmetry_equiv_pos_as_xyz
'x,y,z'
'-y,x-y,z'
'-x+y,-x,z'
'-y,-x,z'
'-x+y,y,z'
'x,x-y,z'
loop_
_atom_site_label
_atom_site_type_symbol
_atom_site_fract_x
_atom_site_fract_y
_atom_site_fract_z
-- stop --

I have no sympathy for people who choose telemarketing, traffic warden, traffic cop or any job that involves annoying, upsetting or screwing people over as their profesion of personal choice, but calling me an ex-asshole is a bit harsh, I was merely not very sympathetic about their job until I realised that many of them had little choice in order to have a job or their 'career path' led them into their situation, as it did mine.

As for the last part, I suppose I did ultimately... but in a roundabout way.. but it was a lot more complicated than just that and its another story. My manager was snorting drugs and drinking on the job, was trying to bully and harrass me at work probably because she was on a powertrip while high, obviously unwilling to give her the pleasure of just quitting... lets just say I came out of it better off in ALL ways thanks to Kirsts advice from her degree in employment law... they ended up offering me a compromise agreement. :)

you may need to check if you have anysort of Do Not Call Register


Yep, its called Telephone preferential service or TPS here in the UK. http://www.tpsonline.org.uk/tps/what/ You have to keep re-signing up for it every six months or so though..

12th December 2010, 23:18
Always liked this way.


13th December 2010, 04:56
So, you were an asshole until you got placed in that situation and realized that it wasn't the best option, but had to do it in order to have a job.

How about just saying, "No thanks. Bye."

We have a major problem over here with telemarketers. Companies sell their databases of our personal information to each other.

I get at least 30-40 calls month from telemarketer w@nkers. Thats right, at least 30-40 calls a MONTH. From my bank offering funeral cover, life cover, credit card protection plan, homeloans etc. People try and sell us cellular phone contracts, cover for those contracts. People trying to sell me insurance, vehichle finance etc etc etc. And they always call when you are in a meeting or while you are driving.

After a while, it is a lot easier to tell them to f#ck off and hopefully they will eventually get the message. Another thing I do is say "hey, that sounds great!", give me one second to get a pen and paper...then leave them on hold until they realise that I aint coming back.

13th December 2010, 04:58
Josti :up:

13th December 2010, 04:59
you may need to check if you have anysort of Do Not Call Register


I am registered here with a similar system we have, but it does not stop telemarketers from calling :(

Easy Drifter
13th December 2010, 08:48
I simply say "No."
That rarely stops them so I then ask "What part of no did you not understand?"

If I know it is not going to be a call for me answering "Fraud Squad" works quite well.

13th December 2010, 09:04
you may need to check if you have anysort of Do Not Call Register


I registered to https://www.donutcall.gov.au/ and after that I started to receive calls from Australian donut sellers.